• To do:
Next, find the line further below that holds "-0.402 0.140", then set down that line and all lines after it there.
• Data:
........
A 19-piece molecular cluster, C76H140O44S13 overall in a non-equilibrium geometry, computed with ωB97M-V/def2-TZVPD.

XYZ file:
```
273
Properties=species:S:1:pos:R:3:forces:R:3:mulliken_charge:R:1
C -0.022472 1.986023 -3.878670 -0.672 -1.291 -1.596 -0.8332
C 0.608588 0.613302 -4.294477 -0.562 -0.245 -0.495 0.0384
C 2.028422 0.475329 -5.002675 -1.188 0.695 2.379 -0.0977
O 2.653745 -0.566448 -4.237632 0.162 -0.260 0.961 -0.4732
C 1.991081 -0.773045 -3.089430 -1.632 0.020 -0.320 -0.3744
O 2.346092 -1.434444 -2.159993 0.913 -0.341 0.141 -0.1348
O 0.736885 -0.246796 -3.102582 1.258 0.820 -0.941 0.6640
H 0.426501 2.528430 -3.092229 1.087 0.318 0.815 -0.2194
H -1.069545 1.842360 -3.588219 0.110 -0.402 0.140 0.0585
H -0.125424 2.660216 -4.733465 0.455 -0.168 -0.061 0.7918
H -0.058745 0.041512 -4.963149 -0.108 0.564 0.421 0.2919
H 2.598028 1.370353 -4.812062 0.268 0.351 -0.552 -0.1661
H 1.967993 0.125776 -6.004970 -0.094 0.098 -0.784 0.4667
C -4.094107 0.382710 -3.650193 -0.547 0.579 -0.185 -1.6336
C -5.221334 -0.384930 -4.361504 0.678 -1.501 2.702 0.7207
C -5.793491 0.371277 -5.511365 -0.029 -0.859 0.487 -0.5455
O -5.882671 -0.597429 -6.552892 -0.373 0.633 0.098 -0.4419
C -5.148086 -1.695488 -6.230319 -0.260 1.715 0.573 0.3120
O -4.970957 -2.567185 -6.987715 0.360 -1.674 -0.706 -0.5001
O -4.659631 -1.576394 -4.979018 -0.024 0.106 -0.553 0.1552
H -3.765342 -0.059392 -2.710760 0.080 -0.182 -0.252 -0.3111
H -4.383976 1.416965 -3.414839 -0.454 -0.264 0.145 0.5575
H -3.284556 0.570999 -4.352344 0.356 -0.497 -0.084 0.7712
H -5.910984 -0.842091 -3.586571 0.293 1.120 -0.996 0.1671
H -5.066557 1.121217 -5.695763 0.517 0.914 -1.068 0.3539
H -6.726083 0.826014 -5.245108 -0.739 0.060 -0.305 0.3325
C 3.969336 6.476608 -2.596899 0.118 -1.811 1.100 -1.1941
C 4.040538 6.309592 -4.069568 0.445 0.288 -2.109 0.4035
C 5.096790 5.311612 -4.657893 0.618 1.446 2.214 -0.2630
O 4.380360 4.218128 -5.143614 -0.888 -0.511 -1.030 -0.3603
C 3.041128 4.469680 -5.128632 0.965 1.420 1.697 0.6380
O 2.165726 3.751746 -5.460894 -0.160 -0.547 -0.667 -0.4683
O 2.826467 5.678411 -4.526396 -0.434 -0.120 -0.407 -0.2584
H 3.841784 5.452196 -2.150943 -0.159 0.947 -0.310 0.1098
H 3.110888 7.087239 -2.377926 -0.258 0.316 0.384 0.4161
H 4.871992 6.848553 -2.105605 -0.023 0.357 -0.440 0.3890
H 4.113959 7.313877 -4.583141 -0.131 -1.052 0.421 0.2968
H 5.710418 4.981279 -3.820053 0.061 -0.281 -0.088 0.0043
H 5.768141 5.819673 -5.344399 -0.294 -0.367 -0.718 0.3526
C -1.239350 5.784772 -5.502260 -0.162 -1.679 -0.600 -1.4307
C -1.134915 6.074699 -4.009617 -0.124 -0.749 -0.588 0.6088
C -2.353784 6.888481 -3.530090 -0.272 -0.023 -0.425 -0.4113
O -3.202359 5.853042 -2.995932 -0.821 0.799 0.233 -0.4277
C -2.531212 4.754017 -2.778278 0.828 -2.472 1.457 -0.2711
O -2.945073 3.763942 -2.168432 0.587 1.860 -1.318 -0.2423
O -1.271735 4.840483 -3.262049 -0.706 -0.001 -0.027 0.4665
H -2.244155 5.324511 -5.754886 1.067 0.564 0.260 0.3426
H -0.432501 5.142848 -5.973956 -0.806 0.414 1.146 0.1905
H -1.127117 6.705944 -6.020887 -0.242 1.014 -0.506 0.5053
H -0.146105 6.442341 -3.784713 0.056 0.448 0.372 0.1857
H -2.942300 7.310210 -4.358774 0.498 0.011 0.164 0.3410
H -2.188459 7.665708 -2.775706 0.190 -0.446 -0.009 0.2337
C 8.330182 -2.535978 2.283389 -0.814 -0.177 1.388 -1.1994
C 8.768694 -3.268738 1.051329 -1.342 1.550 -0.518 0.5956
C 8.758655 -4.788420 1.205861 -0.377 0.411 -0.093 -0.5470
O 7.975760 -5.291240 0.122201 0.010 0.744 -0.932 -0.3774
C 7.410774 -4.251998 -0.545353 0.722 1.405 1.823 0.5963
O 6.624059 -4.311509 -1.414536 -1.241 -1.089 -1.642 -0.5018
O 7.762902 -3.032475 -0.053367 1.777 -1.445 1.312 -0.2290
H 7.432485 -2.902219 2.757714 -0.436 -1.005 -0.253 0.1404
H 8.004658 -1.513756 2.211285 0.683 0.792 -0.761 0.1043
H 9.064890 -2.630239 3.080096 0.472 0.186 -0.131 0.4718
H 9.709775 -2.772491 0.756543 -0.239 -0.836 -0.433 0.3389
H 8.234847 -5.121966 2.091849 0.138 0.199 0.436 0.3030
H 9.759447 -5.163519 1.172890 0.497 -0.588 -0.138 0.3857
........
• Done:
H -1.069545 1.842360 -3.588219 0.110 -0.402 0.140 0.0585
H -0.125424 2.660216 -4.733465 0.455 -0.168 -0.061 0.7918
H -0.058745 0.041512 -4.963149 -0.108 0.564 0.421 0.2919
H 2.598028 1.370353 -4.812062 0.268 0.351 -0.552 -0.1661
H 1.967993 0.125776 -6.004970 -0.094 0.098 -0.784 0.4667
C -4.094107 0.382710 -3.650193 -0.547 0.579 -0.185 -1.6336
C -5.221334 -0.384930 -4.361504 0.678 -1.501 2.702 0.7207
C -5.793491 0.371277 -5.511365 -0.029 -0.859 0.487 -0.5455
O -5.882671 -0.597429 -6.552892 -0.373 0.633 0.098 -0.4419
C -5.148086 -1.695488 -6.230319 -0.260 1.715 0.573 0.3120
O -4.970957 -2.567185 -6.987715 0.360 -1.674 -0.706 -0.5001
O -4.659631 -1.576394 -4.979018 -0.024 0.106 -0.553 0.1552
H -3.765342 -0.059392 -2.710760 0.080 -0.182 -0.252 -0.3111
H -4.383976 1.416965 -3.414839 -0.454 -0.264 0.145 0.5575
H -3.284556 0.570999 -4.352344 0.356 -0.497 -0.084 0.7712
H -5.910984 -0.842091 -3.586571 0.293 1.120 -0.996 0.1671
H -5.066557 1.121217 -5.695763 0.517 0.914 -1.068 0.3539
H -6.726083 0.826014 -5.245108 -0.739 0.060 -0.305 0.3325
C 3.969336 6.476608 -2.596899 0.118 -1.811 1.100 -1.1941
C 4.040538 6.309592 -4.069568 0.445 0.288 -2.109 0.4035
C 5.096790 5.311612 -4.657893 0.618 1.446 2.214 -0.2630
O 4.380360 4.218128 -5.143614 -0.888 -0.511 -1.030 -0.3603
C 3.041128 4.469680 -5.128632 0.965 1.420 1.697 0.6380
O 2.165726 3.751746 -5.460894 -0.160 -0.547 -0.667 -0.4683
O 2.826467 5.678411 -4.526396 -0.434 -0.120 -0.407 -0.2584
H 3.841784 5.452196 -2.150943 -0.159 0.947 -0.310 0.1098
H 3.110888 7.087239 -2.377926 -0.258 0.316 0.384 0.4161
H 4.871992 6.848553 -2.105605 -0.023 0.357 -0.440 0.3890
H 4.113959 7.313877 -4.583141 -0.131 -1.052 0.421 0.2968
H 5.710418 4.981279 -3.820053 0.061 -0.281 -0.088 0.0043
H 5.768141 5.819673 -5.344399 -0.294 -0.367 -0.718 0.3526
C -1.239350 5.784772 -5.502260 -0.162 -1.679 -0.600 -1.4307
C -1.134915 6.074699 -4.009617 -0.124 -0.749 -0.588 0.6088
C -2.353784 6.888481 -3.530090 -0.272 -0.023 -0.425 -0.4113
O -3.202359 5.853042 -2.995932 -0.821 0.799 0.233 -0.4277
C -2.531212 4.754017 -2.778278 0.828 -2.472 1.457 -0.2711
O -2.945073 3.763942 -2.168432 0.587 1.860 -1.318 -0.2423
O -1.271735 4.840483 -3.262049 -0.706 -0.001 -0.027 0.4665
H -2.244155 5.324511 -5.754886 1.067 0.564 0.260 0.3426
H -0.432501 5.142848 -5.973956 -0.806 0.414 1.146 0.1905
H -1.127117 6.705944 -6.020887 -0.242 1.014 -0.506 0.5053
H -0.146105 6.442341 -3.784713 0.056 0.448 0.372 0.1857
H -2.942300 7.310210 -4.358774 0.498 0.011 0.164 0.3410
H -2.188459 7.665708 -2.775706 0.190 -0.446 -0.009 0.2337
C 8.330182 -2.535978 2.283389 -0.814 -0.177 1.388 -1.1994
C 8.768694 -3.268738 1.051329 -1.342 1.550 -0.518 0.5956
C 8.758655 -4.788420 1.205861 -0.377 0.411 -0.093 -0.5470
O 7.975760 -5.291240 0.122201 0.010 0.744 -0.932 -0.3774
C 7.410774 -4.251998 -0.545353 0.722 1.405 1.823 0.5963
O 6.624059 -4.311509 -1.414536 -1.241 -1.089 -1.642 -0.5018
O 7.762902 -3.032475 -0.053367 1.777 -1.445 1.312 -0.2290
H 7.432485 -2.902219 2.757714 -0.436 -1.005 -0.253 0.1404
H 8.004658 -1.513756 2.211285 0.683 0.792 -0.761 0.1043
H 9.064890 -2.630239 3.080096 0.472 0.186 -0.131 0.4718
H 9.709775 -2.772491 0.756543 -0.239 -0.836 -0.433 0.3389
H 8.234847 -5.121966 2.091849 0.138 0.199 0.436 0.3030
H 9.759447 -5.163519 1.172890 0.497 -0.588 -0.138 0.3857